### Given
-- begin --
Entry 1:
Starting from a DFT-relaxed cell (PBE, Alexandria), the powder X-ray diffraction pattern of PrThMnN4 was computed for Cu Kα X-rays.

Peak list (10 most intense, 10° ≤ 2θ ≤ 80°, most intense first)
2θ/deg, I (rel.)
31.8, 100
34.0, 57
24.9, 38
59.5, 35
44.4, 28
48.9, 25
27.7, 17
55.2, 15
55.8, 15
77.3, 12

Cell: 6.9491 6.9491 6.9491 Å, 148.88 148.88 44.59°
Element x y z (fractional)
Pr 0.0000 0.0000 0.0000
Th 0.7114 0.7114 0.0000
Mn 0.3533 0.3533 0.0000
N 0.1893 0.1893 0.0000
N 0.3517 0.8517 0.5000
N 0.5307 0.5307 0.0000
N 0.8517 0.3517 0.5000



Entry 2:
Starting from a DFT-relaxed cell (PBE, Alexandria), the powder X-ray diffraction pattern of Mn12Pt4N was computed for Cu Kα X-rays.

Peak list (10 most intense, 10° ≤ 2θ ≤ 80°, most intense first)
2θ/deg, I (rel.)
43.8, 100
44.0, 77
40.7, 57
27.8, 48
27.7, 35
43.4, 32
33.1, 30
19.0, 28
38.6, 26
38.3, 24

Cell: 4.4369 5.3701 9.3918 Å, 90.00 90.59 90.00°
Element x y z (fractional)
Mn 0.2363 0.0000 0.1699
Mn 0.2484 0.2520 0.9097
Mn 0.2484 0.7480 0.9097
Mn 0.2502 0.2510 0.4114
Mn 0.2502 0.7490 0.4114
Mn 0.2514 0.5000 0.6633
Mn 0.7486 0.5000 0.3367
Mn 0.7498 0.2510 0.5886
Mn 0.7498 0.7490 0.5886
Mn 0.7516 0.2520 0.0903
Mn 0.7516 0.7480 0.0903
Mn 0.7637 0.0000 0.8301
Pt 0.2412 0.5000 0.1639
Pt 0.2510 0.0000 0.6593
Pt 0.7490 0.0000 0.3407
Pt 0.7588 0.5000 0.8361
N 0.5000 0.0000 0.0000



Entry 3:
Starting from a DFT-relaxed cell (PBE, Alexandria), the powder X-ray diffraction pattern of Mn21Pt2N6 was computed for Cu Kα X-rays.

Peak list (10 most intense, 10° ≤ 2θ ≤ 80°, most intense first)
2θ/deg, I (rel.)
38.3, 100
44.8, 86
42.1, 85
49.0, 44
76.9, 41
23.9, 38
58.2, 30
74.4, 29
16.9, 27
51.4, 21

Cell: 7.4360 7.4360 7.4360 Å, 60.00 60.00 60.00°
Element x y z (fractional)
Mn 0.0000 0.0000 0.0000
Mn 0.0000 0.0000 0.3280
Mn 0.0000 0.0000 0.6720
Mn 0.0000 0.3280 0.0000
Mn 0.0000 0.3280 0.6720
Mn 0.0000 0.6720 0.0000
Mn 0.0000 0.6720 0.3280
Mn 0.1611 0.6130 0.6130
Mn 0.3280 0.0000 0.0000
Mn 0.3280 0.0000 0.6720
Mn 0.3280 0.6720 0.0000
Mn 0.3870 0.3870 0.3870
Mn 0.3870 0.3870 0.8389
Mn 0.3870 0.8389 0.3870
Mn 0.6130 0.1611 0.6130
Mn 0.6130 0.6130 0.1611
Mn 0.6130 0.6130 0.6130
Mn 0.6720 0.0000 0.0000
Mn 0.6720 0.0000 0.3280
Mn 0.6720 0.3280 0.0000
Mn 0.8389 0.3870 0.3870
Pt 0.2500 0.2500 0.2500
Pt 0.7500 0.7500 0.7500
N 0.2740 0.2740 0.7260
N 0.2740 0.7260 0.2740
N 0.2740 0.7260 0.7260
N 0.7260 0.2740 0.2740
N 0.7260 0.2740 0.7260
N 0.7260 0.7260 0.2740



Entry 4:
Starting from a DFT-relaxed cell (PBE, Alexandria), the powder X-ray diffraction pattern of Mn2VPtN was computed for Cu Kα X-rays.

Peak list (10 most intense, 10° ≤ 2θ ≤ 80°, most intense first)
2θ/deg, I (rel.)
39.7, 100
32.2, 52
46.1, 37
22.6, 28
67.5, 23
46.4, 18
57.4, 15
52.0, 13
22.7, 11
67.3, 11

Cell: 3.9369 3.9369 3.9163 Å, 90.00 90.00 90.00°
Element x y z (fractional)
Mn 0.0000 0.5000 0.0000
Mn 0.5000 0.0000 0.0000
V 0.0000 0.0000 0.5000
Pt 0.5000 0.5000 0.5000
N 0.0000 0.0000 0.0000



Entry 5:
Starting from a DFT-relaxed cell (PBE, Alexandria), the powder X-ray diffraction pattern of Rb3Mn2N4 was computed for Cu Kα X-rays.

Peak list (10 most intense, 10° ≤ 2θ ≤ 80°, most intense first)
2θ/deg, I (rel.)
28.6, 100
10.7, 47
30.7, 40
27.4, 28
38.4, 23
22.0, 19
37.2, 19
53.3, 17
38.1, 16
50.8, 13

Cell: 9.6723 9.6723 9.6723 Å, 144.94 61.94 130.68°
Element x y z (fractional)
Rb 0.1629 0.0599 0.1029
Rb 0.1985 0.4485 0.7500
Rb 0.4570 0.0599 0.3971
Rb 0.5430 0.9401 0.6029
Rb 0.8015 0.5515 0.2500
Rb 0.8371 0.9401 0.8971
Mn 0.1069 0.6354 0.4715
Mn 0.3361 0.3646 0.9715
Mn 0.6639 0.6354 0.0285
Mn 0.8931 0.3646 0.5285
N 0.1429 0.5685 0.5744
N 0.2002 0.0000 0.7002
N 0.2002 0.5000 0.2002
N 0.4942 0.5685 0.9256
N 0.5058 0.4315 0.0744
N 0.7998 0.0000 0.2998
N 0.7998 0.5000 0.7998
N 0.8571 0.4315 0.4256



Entry 6:
Starting from a DFT-relaxed cell (PBE, Alexandria), the powder X-ray diffraction pattern of Sr2MnReN4 was computed for Cu Kα X-rays.

Peak list (10 most intense, 10° ≤ 2θ ≤ 80°, most intense first)
-- stop --

### Job
What is needed: repeat everything earlier on word for word.

### Response
Entry 1:
Starting from a DFT-relaxed cell (PBE, Alexandria), the powder X-ray diffraction pattern of PrThMnN4 was computed for Cu Kα X-rays.

Peak list (10 most intense, 10° ≤ 2θ ≤ 80°, most intense first)
2θ/deg, I (rel.)
31.8, 100
34.0, 57
24.9, 38
59.5, 35
44.4, 28
48.9, 25
27.7, 17
55.2, 15
55.8, 15
77.3, 12

Cell: 6.9491 6.9491 6.9491 Å, 148.88 148.88 44.59°
Element x y z (fractional)
Pr 0.0000 0.0000 0.0000
Th 0.7114 0.7114 0.0000
Mn 0.3533 0.3533 0.0000
N 0.1893 0.1893 0.0000
N 0.3517 0.8517 0.5000
N 0.5307 0.5307 0.0000
N 0.8517 0.3517 0.5000



Entry 2:
Starting from a DFT-relaxed cell (PBE, Alexandria), the powder X-ray diffraction pattern of Mn12Pt4N was computed for Cu Kα X-rays.

Peak list (10 most intense, 10° ≤ 2θ ≤ 80°, most intense first)
2θ/deg, I (rel.)
43.8, 100
44.0, 77
40.7, 57
27.8, 48
27.7, 35
43.4, 32
33.1, 30
19.0, 28
38.6, 26
38.3, 24

Cell: 4.4369 5.3701 9.3918 Å, 90.00 90.59 90.00°
Element x y z (fractional)
Mn 0.2363 0.0000 0.1699
Mn 0.2484 0.2520 0.9097
Mn 0.2484 0.7480 0.9097
Mn 0.2502 0.2510 0.4114
Mn 0.2502 0.7490 0.4114
Mn 0.2514 0.5000 0.6633
Mn 0.7486 0.5000 0.3367
Mn 0.7498 0.2510 0.5886
Mn 0.7498 0.7490 0.5886
Mn 0.7516 0.2520 0.0903
Mn 0.7516 0.7480 0.0903
Mn 0.7637 0.0000 0.8301
Pt 0.2412 0.5000 0.1639
Pt 0.2510 0.0000 0.6593
Pt 0.7490 0.0000 0.3407
Pt 0.7588 0.5000 0.8361
N 0.5000 0.0000 0.0000



Entry 3:
Starting from a DFT-relaxed cell (PBE, Alexandria), the powder X-ray diffraction pattern of Mn21Pt2N6 was computed for Cu Kα X-rays.

Peak list (10 most intense, 10° ≤ 2θ ≤ 80°, most intense first)
2θ/deg, I (rel.)
38.3, 100
44.8, 86
42.1, 85
49.0, 44
76.9, 41
23.9, 38
58.2, 30
74.4, 29
16.9, 27
51.4, 21

Cell: 7.4360 7.4360 7.4360 Å, 60.00 60.00 60.00°
Element x y z (fractional)
Mn 0.0000 0.0000 0.0000
Mn 0.0000 0.0000 0.3280
Mn 0.0000 0.0000 0.6720
Mn 0.0000 0.3280 0.0000
Mn 0.0000 0.3280 0.6720
Mn 0.0000 0.6720 0.0000
Mn 0.0000 0.6720 0.3280
Mn 0.1611 0.6130 0.6130
Mn 0.3280 0.0000 0.0000
Mn 0.3280 0.0000 0.6720
Mn 0.3280 0.6720 0.0000
Mn 0.3870 0.3870 0.3870
Mn 0.3870 0.3870 0.8389
Mn 0.3870 0.8389 0.3870
Mn 0.6130 0.1611 0.6130
Mn 0.6130 0.6130 0.1611
Mn 0.6130 0.6130 0.6130
Mn 0.6720 0.0000 0.0000
Mn 0.6720 0.0000 0.3280
Mn 0.6720 0.3280 0.0000
Mn 0.8389 0.3870 0.3870
Pt 0.2500 0.2500 0.2500
Pt 0.7500 0.7500 0.7500
N 0.2740 0.2740 0.7260
N 0.2740 0.7260 0.2740
N 0.2740 0.7260 0.7260
N 0.7260 0.2740 0.2740
N 0.7260 0.2740 0.7260
N 0.7260 0.7260 0.2740



Entry 4:
Starting from a DFT-relaxed cell (PBE, Alexandria), the powder X-ray diffraction pattern of Mn2VPtN was computed for Cu Kα X-rays.

Peak list (10 most intense, 10° ≤ 2θ ≤ 80°, most intense first)
2θ/deg, I (rel.)
39.7, 100
32.2, 52
46.1, 37
22.6, 28
67.5, 23
46.4, 18
57.4, 15
52.0, 13
22.7, 11
67.3, 11

Cell: 3.9369 3.9369 3.9163 Å, 90.00 90.00 90.00°
Element x y z (fractional)
Mn 0.0000 0.5000 0.0000
Mn 0.5000 0.0000 0.0000
V 0.0000 0.0000 0.5000
Pt 0.5000 0.5000 0.5000
N 0.0000 0.0000 0.0000



Entry 5:
Starting from a DFT-relaxed cell (PBE, Alexandria), the powder X-ray diffraction pattern of Rb3Mn2N4 was computed for Cu Kα X-rays.

Peak list (10 most intense, 10° ≤ 2θ ≤ 80°, most intense first)
2θ/deg, I (rel.)
28.6, 100
10.7, 47
30.7, 40
27.4, 28
38.4, 23
22.0, 19
37.2, 19
53.3, 17
38.1, 16
50.8, 13

Cell: 9.6723 9.6723 9.6723 Å, 144.94 61.94 130.68°
Element x y z (fractional)
Rb 0.1629 0.0599 0.1029
Rb 0.1985 0.4485 0.7500
Rb 0.4570 0.0599 0.3971
Rb 0.5430 0.9401 0.6029
Rb 0.8015 0.5515 0.2500
Rb 0.8371 0.9401 0.8971
Mn 0.1069 0.6354 0.4715
Mn 0.3361 0.3646 0.9715
Mn 0.6639 0.6354 0.0285
Mn 0.8931 0.3646 0.5285
N 0.1429 0.5685 0.5744
N 0.2002 0.0000 0.7002
N 0.2002 0.5000 0.2002
N 0.4942 0.5685 0.9256
N 0.5058 0.4315 0.0744
N 0.7998 0.0000 0.2998
N 0.7998 0.5000 0.7998
N 0.8571 0.4315 0.4256



Entry 6:
Starting from a DFT-relaxed cell (PBE, Alexandria), the powder X-ray diffraction pattern of Sr2MnReN4 was computed for Cu Kα X-rays.

Peak list (10 most intense, 10° ≤ 2θ ≤ 80°, most intense first)